Reflections of The Seeker: 20240728

Moriba Jah
3 min readJul 28, 2024

[Misplaced data records]
********
Record 1
Computed, not measured: crystalline YP2Pd2 at its relaxed geometry at the PBE-GGA level of DFT.

a = 4.121 Å, b = 4.121 Å, c = 9.861 Å
α = 90.00°, β = 90.00°, γ = 90.00°
Space group I4/mmm (No. 139)
Symmetry-distinct sites (fractional):
Y  0.000  0.000  0.000 (multiplicity 2)
P  0.000  0.000  0.388 (multiplicity 4)
Pd  0.000  0.500  0.250 (multiplicity 4)

=====

Record 2
Computed, not measured: crystalline ZnPPd5 at its relaxed geometry at the PBE-GGA level of DFT.

a = 3.933 Å, b = 3.933 Å, c = 6.875 Å
α = 90.00°, β = 90.00°, γ = 90.00°
Space group P4/mmm (No. 123)
Symmetry-distinct sites (fractional):
Zn  0.000  0.000  0.000 (multiplicity 1)
P  0.500  0.500  0.500 (multiplicity 1)
Pd  0.000  0.500  0.293 (multiplicity 4)
Pd  0.500  0.500  0.000 (multiplicity 1)

=====

Record 3
Computed, not measured: crystalline Zr5P7Pd9 at its relaxed geometry at the PBE-GGA level of DFT.

a = 3.853 Å, b = 26.556 Å, c = 6.537 Å
α = 90.00°, β = 90.00°, γ = 90.00°
Space group Amm2 (No. 38)
Symmetry-distinct sites (fractional):
Zr  0.000  0.000  0.000 (multiplicity 2)
Zr  0.000  0.089  0.384 (multiplicity 4)
Zr  0.500  0.228  0.804 (multiplicity 4)
P  0.000  0.000  0.599 (multiplicity 2)
P  0.000  0.214  0.090 (multiplicity 4)
P  0.500  0.069  0.099 (multiplicity 4)
P  0.500  0.144  0.596 (multiplicity 4)
Pd  0.000  0.137  0.849 (multiplicity 4)
Pd  0.000  0.196  0.475 (multiplicity 4)
Pd  0.500  0.000  0.355 (multiplicity 2)
Pd  0.500  0.058  0.732 (multiplicity 4)
Pd  0.500  0.159  0.187 (multiplicity 4)

=====

Record 4
Computed, not measured: crystalline PmP5 at its relaxed geometry at the PBE-GGA level of DFT.

a = 5.019 Å, b = 9.548 Å, c = 5.438 Å
α = 90.00°, β = 102.14°, γ = 90.00°
Space group P2_1/m (No. 11)
Symmetry-distinct sites (fractional):
Pm  0.008  0.250  0.348 (multiplicity 2)
P  0.285  0.250  0.898 (multiplicity 2)
P  0.291  0.530  0.403 (multiplicity 4)
P  0.385  0.591  0.047 (multiplicity 4)

=====

Record 5
Computed, not measured: crystalline Pm2P at its relaxed geometry at the PBE-GGA level of DFT.

Results
* polymorph energy (0 for the lowest one): 0 meV/atom

a = 8.606 Å, b = 8.606 Å, c = 8.606 Å
α = 90.00°, β = 90.00°, γ = 90.00°
Space group Fd-3m (No. 227, origin choice 2)
Symmetry-distinct sites (fractional):
Pm  0.000  0.000  0.000 (multiplicity 16)
P  0.125  0.125  0.625 (multiplicity 8)

=====

Record 6
Computed, not measured: crystalline PmPrP2 at its relaxed geometry at the PBE-GGA level of DFT.

a = 4.167 Å, b = 4.167 Å, c = 5.892 Å
α = 90.00°, β = 90.00°, γ = 90.00°
Space group P4/mmm (No. 123)
Symmetry-distinct sites (fractional):
Pm  0.000  0.000  0.000 (multiplicity 1)
Pr  0.500  0.500  0.500 (multiplicity 1)
P  0.000  0.000  0.500 (multiplicity 1)
P  0.500  0.500  0.000 (multiplicity 1)

=====

The records above give, respectively, total DFT energy (no corrections) values of -0.475 -0.378 -0.514 -0.429 -0.344 -0.487 Ry/atom.
********


In my morning meditation, a profound realization washed over me: we, humans, are a uniquely privileged species. Our privilege does not lie in our physical might or technological advancements, but in a deeper, more subtle power — the power of choice. Unlike any other species, we have the remarkable ability to make conscious decisions and understand the reasoning behind them.

Consider the instinctual behaviors of animals. A lion hunts because it is hungry, driven by primal urges. Birds migrate in response to seasonal changes, guided by an innate sense of direction. While these behaviors are fascinating and essential for survival, they are fundamentally different from our human experience. We, too, have instincts and conditioned responses, but we possess something extraordinary: the capacity to reflect, to question, and to choose differently.

Imagine standing at a crossroads, faced with a decision. A part of you might crave the familiar comfort of taking the easy path, a route you’ve walked countless times before. Yet, another part of you — the conscious, deliberate part — can recognize this craving and choose to explore the uncharted territory of the alternative path. This ability to deny immediate gratification, to weigh options and foresee potential outcomes, empowers us to actively shape our destinies.

This power of choice allows us to break free from the shackles of habit and routine. For instance, if someone insults us, our immediate, instinctual response might be anger or retaliation. However, with conscious effort, we can choose to respond with kindness or indifference, transforming a potential conflict into an opportunity for growth and understanding.

In our everyday lives, we constantly exercise this power, often without realizing it. When we decide to recycle rather than discard, we choose to protect our environment. When we opt to support local farmers instead of buying mass-produced goods, we contribute to the well-being of our community. These choices, seemingly small and inconsequential, accumulate to shape the world we live in.

-- The piece is interrupted by materials data --
<<<
(1)
First-principles (PBE) data for an optimized crystal structure of Y2TmMg3Tl2Hg, as listed in OQMD via LeMat-Bulk.

The structure in POSCAR format:
```
Y2TmMg3Tl2Hg
1.0
4.589 0.000 0.000
0.000 6.474 3.762
0.000 -6.474 3.762
Y Tm Mg Tl Hg
2 1 3 2 1
Direct
0.000 0.211 0.789
0.000 0.789 0.211
0.000 0.632 0.632
0.500 0.212 0.451
0.500 0.451 0.212
0.500 0.974 0.974
0.500 0.545 0.876
0.500 0.876 0.545
0.000 0.216 0.216
```

Output
Energy in eV/atom: -3.39

(2)
First-principles (PBE) data for an optimized crystal structure of GdYI2N, as listed in OQMD via LeMat-Bulk.

The structure in POSCAR format:
```
GdYI2N
1.0
3.798 0.000 0.000
-1.899 3.289 0.000
0.000 0.000 10.877
Gd Y I N
1 1 2 1
Direct
0.000 0.000 0.000
0.333 0.667 0.234
0.000 0.000 0.433
0.333 0.667 0.799
0.667 0.333 0.120
```

Output
Energy in eV/atom: -5.89

* * * * *

A plane-wave DFT calculation with PBE-GGA was carried out for an optimized crystal structure of K2TaCoHg.

Cell: 6.2664 4.9349 6.2664 Å, 90.00 90.00 90.00°
Each line ends with the local moment (μB).
Positions (direct):
K1 0.5000 0.0000 0.0000  0.01
K2 0.0000 0.0000 0.5000  0.01
Co1 0.0000 0.5000 0.0000  1.78
Hg1 0.0000 0.0000 0.0000  -0.04
Ta1 0.5000 0.5000 0.5000  2.26

The formation energy is 8.539 eV per formula unit. Its size of the total moment is 5.38 μB/f.u. The value obtained for the raw total energy is -0.190 Ry per atom.

***

A plane-wave DFT calculation with PBE-GGA was carried out for an optimized crystal structure of ZrMn2V.

Cell: 3.0640 4.3040 4.3040 Å, 90.00 90.00 90.00°
Each line ends with the local moment (μB).
Positions (direct):
Mn1 0.0000 0.5000 0.0000  0.88
Mn2 0.0000 0.0000 0.5000  0.88
Zr1 0.5000 0.5000 0.5000  -0.21
V1 0.5000 0.0000 0.0000  -0.88

The formation energy is -0.077 eV per formula unit. Its size of the total moment is 0.53 μB/f.u. As for the energy relative to the lowest polymorph listed for this composition: 0.22 eV per formula unit. The value obtained for the raw total energy is -0.663 Ry per atom.

***

A plane-wave DFT calculation with PBE-GGA was carried out for an optimized crystal structure of LuPuPaPb.

Cell: 5.2793 5.2793 5.2793 Å, 60.00 60.00 60.00°
Each line ends with the local moment (μB).
Positions (direct):
Pu1 0.0000 0.0000 0.0000  5.45
Pb1 0.2500 0.2500 0.2500  -0.01
Pa1 0.7500 0.7500 0.7500  1.17
Lu1 0.5000 0.5000 0.5000  0.09

The formation energy is 0.531 eV per formula unit. Its size of the total moment is 7.36 μB/f.u. The value obtained for the raw total energy is -0.579 Ry per atom.

***

A plane-wave DFT calculation with PBE-GGA was carried out for an optimized crystal structure of Cd2PtW.

Cell: 5.0222 5.0222 2.8550 Å, 90.00 90.00 90.00°
Positions (direct):
W1 0.0000 0.5000 0.5000
Cd1 0.0000 0.0000 0.0000
Cd2 0.5000 0.5000 0.0000
Pt1 0.5000 0.0000 0.5000
>>>

I hold this gift of choice in deep gratitude. It is a sacred responsibility, a testament to our unique role in the tapestry of life. Our choices are not just personal — they ripple out, affecting our families, communities, and the planet. This interconnectedness underscores the importance of making decisions that foster joy, happiness, and harmony.

_Materials data from another source follow_
<<<
# 1
## TlOsCl6 (PBE)

Data for TlOsCl6 after structural relaxation.

POSCAR file:
```
TlOsCl6
1.0
4.0250 -5.2159 0.0000
4.0250 5.2159 0.0000
-2.5467 0.0000 5.9847
Tl Os Cl
1 1 6
direct
0.0000 0.0000 0.0000 Tl
0.5000 0.5000 0.5000 Os
0.2290 0.2290 0.5484 Cl
0.2289 0.5425 0.2273 Cl
0.4575 0.7711 0.7727 Cl
0.5425 0.2289 0.2273 Cl
0.7711 0.4575 0.7727 Cl
0.7710 0.7710 0.4516 Cl
```

Computed properties:
As for the space-group type: C2/m. The energy above the most stable polymorph in this dataset is 0.0000 eV/atom. The value obtained for the volume is 251 Å³/cell. The value obtained for the total magnetization is 0.38 μB/atom.

# 2
## Na2PtF (PBE)

Data for Na2PtF after structural relaxation.

POSCAR file:
```
Na2PtF
1.0
0.0000 3.3875 3.3875
3.3875 0.0000 3.3875
3.3875 3.3875 0.0000
Na Pt F
2 1 1
direct
0.2500 0.2500 0.2500 Na
0.7500 0.7500 0.7500 Na
0.0000 0.0000 0.0000 Pt
0.5000 0.5000 0.5000 F
```

Computed properties:
As for the space-group type: Fm-3m. The density of states at the Fermi level comes out at 9.69 states/eV/cell. The energy above the most stable polymorph in this dataset is 0.3539 eV/atom. The value obtained for the volume is 78 Å³/cell. The value obtained for the total magnetization is 0.25 μB/atom.

# 3
## Er8SbTe4P3 (PBE)

Data for Er8SbTe4P3 after structural relaxation.

POSCAR file:
```
Er8SbTe4P3
1.0
4.1528 2.3976 7.0159
-4.1528 2.3976 7.0159
0.0000 -4.7952 7.0159
Er Sb Te P
8 1 4 3
direct
0.2209 0.7475 0.7475 Er
0.2361 0.2361 0.2361 Er
0.2525 0.2525 0.7791 Er
0.2525 0.7791 0.2525 Er
0.7475 0.2209 0.7475 Er
0.7475 0.7475 0.2209 Er
0.7639 0.7639 0.7639 Er
0.7791 0.2525 0.2525 Er
0.5000 0.5000 0.5000 Sb
0.0000 0.0000 0.0000 Te
0.0000 0.5000 0.5000 Te
0.5000 0.0000 0.5000 Te
0.5000 0.5000 0.0000 Te
0.0000 0.0000 0.5000 P
0.0000 0.5000 0.0000 P
0.5000 0.0000 0.0000 P
```

Computed properties:
As for the space-group type: R-3m. The density of states at the Fermi level comes out at 5.52 states/eV/cell. The calculation puts the energy at -92.22 eV for the cell shown. The value obtained for the volume is 419 Å³/cell. The value obtained for the total magnetization is 0.00 μB/atom.

# 4
## Ga3IrPt (PBE)

Data for Ga3IrPt after structural relaxation.

POSCAR file:
```
Ga3IrPt
1.0
2.9475 0.0000 0.0000
-1.4660 7.1867 0.0000
-1.4606 -1.6940 8.4474
Ga Ir Pt
6 2 2
direct
0.0559 0.1912 0.4230 Ga
0.1306 0.5246 0.2399 Ga
0.2033 0.8536 0.0536 Ga
0.7967 0.1464 0.9464 Ga
0.8694 0.4754 0.7601 Ga
0.9441 0.8088 0.5770 Ga
0.4643 0.2380 0.1925 Ir
0.5357 0.7620 0.8075 Ir
0.3567 0.8679 0.3455 Pt
0.6433 0.1321 0.6545 Pt
```

Computed properties:
As for the space-group type: P-1. The density of states at the Fermi level comes out at 2.82 states/eV/cell. Its formation energy is -0.42 eV/atom. The energy above the most stable polymorph in this dataset is 0.0000 eV/atom. The value obtained for the volume is 179 Å³/cell. The value obtained for the total magnetization is 0.00 μB/atom.

# 5
## CdCu3 (PBE)

Data for CdCu3 after structural relaxation.

POSCAR file:
>>>

Yet, this power is fleeting. When we die, our energy will transform, dispersing into the vast cosmos. In this transformation, we may lose our individual sense of self, our distinct experiences, and the power to make conscious choices. This uncertainty about our posthumous existence adds urgency to our current actions.

So, here and now, we must seize the opportunity to wield our power wisely, reclaiming our sovereignty. Those most powerful are the ones that either convince you that the choice isn’t yours to make, or that you’re better off relinquishing your choice-making to them.

Reclaim your power and let us co-create lives that are attuned to our environment, resonating with the rhythms of nature. By choosing sustainable practices, embracing empathy, and fostering unity, we can leave a legacy of stewardship for future generations.

Picture a world where each person consciously chooses to reduce their carbon footprint, to plant trees, to conserve water, and to protect endangered species. A world where communities come together to support renewable energy projects, clean up polluted areas, and advocate for policies that safeguard our planet. This is not a utopian dream but a feasible reality if we harness our collective power of choice.

In every moment, we stand at the threshold of possibility. Our choices define our existence and carve the path for those who follow. Let us embrace this gift with gratitude and intention, co-creating a future marked by joy, happiness, and harmony. Together, let us rise as stewards of our precious planet, honoring the privilege of our human experience.



Moriba Jah

Space environmentalist, astrodynamicist, global speaker, MacArthur and TED Fellow, National Geographic Explorer